Now transcribe everything below unchanged.

********
Density functional theory data (wB97M-V/def2-TZVPD) for a cluster of 3 separate species, C27H54BrF9N6O2 in total.

Last column: Löwdin charge in e.
Geometry (Å):
1 N 1.442 0.647 1.069  0.1542
2 C 1.697 1.569 0.266  -0.5721
3 N 3.014 2.086 0.129  0.1093
4 N 0.636 2.110 -0.518  0.0182
5 C 0.383 3.529 -0.105  -0.2056
6 C -1.086 3.632 0.334  -0.1793
7 C -2.001 3.442 -0.888  -0.1752
8 C -3.031 2.266 -0.732  -0.1414
9 C -4.427 2.860 -0.583  -0.2592
10 O -4.884 3.632 -1.712  -0.0604
11 C -4.509 3.267 -2.954  -0.7914
12 F -5.108 4.143 -3.774  -0.0021
13 Br -5.086 1.498 -3.566  0.7884
14 C -5.576 1.888 -0.103  -0.3218
15 N -6.338 2.539 0.993  0.0318
16 C -5.117 0.545 0.465  -0.1346
17 C -4.810 -0.534 -0.563  -0.1998
18 O -4.772 -1.842 0.018  -0.0981
19 C -3.577 -2.090 0.692  -0.0903
20 C -2.492 -2.691 -0.239  -0.4108
21 F -2.997 -2.864 -1.457  0.1593
22 F -2.206 -3.924 0.223  0.1137
23 C -1.159 -1.902 -0.260  -0.4091
24 F -1.333 -0.622 -0.028  0.1572
25 F -0.446 -2.356 0.773  0.1613
26 C -0.284 -2.109 -1.513  -0.4207
27 F 0.893 -1.525 -1.264  0.1411
28 F -0.050 -3.382 -1.675  0.1838
29 C -0.811 -1.468 -2.825  -0.2907
30 F -1.184 -2.458 -3.653  0.1009
31 F -1.878 -0.696 -2.632  0.1018
32 H 2.293 0.360 1.552  0.0598
33 H 3.339 2.365 1.048  0.0794
34 H 3.019 2.921 -0.448  0.0722
35 H 0.927 2.107 -1.491  0.1123
36 H 1.064 3.876 0.665  0.1070
37 H 0.452 4.136 -1.005  0.1103
38 H -1.217 4.650 0.705  0.1065
39 H -1.304 2.953 1.153  0.1105
40 H -1.425 3.204 -1.780  0.0980
41 H -2.545 4.363 -1.090  0.1104
42 H -2.915 1.559 -1.547  0.0786
43 H -2.721 1.749 0.164  0.0996
44 H -4.347 3.574 0.233  0.1448
45 H -3.448 3.375 -3.152  0.1070
46 H -6.301 1.745 -0.897  0.1174
47 H -6.593 3.481 0.710  0.0760
48 H -5.683 2.633 1.766  0.0729
49 H -4.309 0.669 1.184  0.1099
50 H -5.952 0.163 1.050  0.1269
51 H -5.581 -0.545 -1.321  0.1073
52 H -3.857 -0.371 -1.068  0.0899
53 H -3.809 -2.858 1.424  0.1446
54 H -3.223 -1.232 1.259  0.1285
55 H -0.024 -0.930 -3.342  0.1696
56 C -1.978 -10.269 -0.369  -0.0928
57 C -1.308 -8.944 -0.709  -0.2773
58 N -1.280 -8.002 0.394  -0.1948
59 C -0.845 -6.670 -0.007  -0.2471
60 C 0.595 -6.510 -0.510  -0.0731
61 C -0.707 -8.500 1.633  -0.2486
62 C 0.746 -8.994 1.608  -0.0852
63 H -3.008 -10.115 -0.044  0.0787
64 H -1.995 -10.906 -1.255  0.0715
65 H -1.443 -10.814 0.409  0.0620
66 H -1.872 -8.491 -1.529  0.1182
67 H -0.302 -9.156 -1.103  0.0985
68 H -1.008 -5.982 0.825  0.1028
69 H -1.522 -6.327 -0.794  0.1077
70 H 1.314 -6.517 0.309  0.0576
71 H 0.703 -5.550 -1.012  0.0509
72 H 0.874 -7.285 -1.226  0.0676
73 H -1.338 -9.317 1.994  0.0978
74 H -0.805 -7.725 2.398  0.1141
75 H 0.968 -9.586 0.719  0.0667
76 H 0.933 -9.630 2.477  0.0696
77 H 1.457 -8.171 1.660  0.0527
78 C 3.867 7.080 0.753  -0.0885
79 C 4.786 6.217 1.606  -0.2779
80 N 5.596 5.288 0.839  -0.2016
81 C 6.302 4.324 1.675  -0.2537
82 C 7.370 4.860 2.636  -0.0846
83 C 6.389 5.868 -0.234  -0.2483
84 C 7.421 6.942 0.134  -0.0820
85 H 3.187 6.464 0.161  0.0701
86 H 3.265 7.721 1.399  0.0743
87 H 4.422 7.732 0.079  0.0653
88 H 4.155 5.638 2.287  0.1152
89 H 5.397 6.880 2.237  0.1001
90 H 6.753 3.561 1.035  0.1123
91 H 5.554 3.788 2.270  0.1014
92 H 8.294 5.110 2.116  0.0555
93 H 7.621 4.090 3.369  0.0722
94 H 7.032 5.737 3.188  0.0664
95 H 5.703 6.294 -0.970  0.0984
96 H 6.893 5.060 -0.770  0.1146
97 H 7.039 7.651 0.869  0.0687
98 H 7.691 7.512 -0.758  0.0723
99 H 8.341 6.507 0.520  0.0542

Properties
LUMO level = 0.3078 eV
Kohn-Sham gap = 8.137 eV
SMILES = [H]/N=C(\N)NCCCC[C@@H](O[C@H](F)Br)[C@H](N)CCOCC(F)(F)C(F)(F)C(F)(F)C(F)F.CCN(CC)CC.CCN(CC)CC
net charge = 0

~~~~~

Density functional theory data (ωB97M-V/def2-TZVPD) for 7 unconnected molecules or ions with the total composition C33H84N4O9S3 in a non-equilibrium geometry.

Properties
HOMO-LUMO gap ... 8.6 eV
LUMO level ... 0.48 eV
E_tot ... -92472.42609 eV
2S+1 ... 1
Energy relative to the best compared isomer or geometry (same formula, charge and spin) ... 0.0 kJ/mol
Strongest force on any atom ... 0.0388 Eh/bohr
********

Density functional theory data (wB97M-V/def2-TZVPD) for a cluster of 3 separate species, C27H54BrF9N6O2 in total.

Last column: Löwdin charge in e.
Geometry (Å):
1 N 1.442 0.647 1.069  0.1542
2 C 1.697 1.569 0.266  -0.5721
3 N 3.014 2.086 0.129  0.1093
4 N 0.636 2.110 -0.518  0.0182
5 C 0.383 3.529 -0.105  -0.2056
6 C -1.086 3.632 0.334  -0.1793
7 C -2.001 3.442 -0.888  -0.1752
8 C -3.031 2.266 -0.732  -0.1414
9 C -4.427 2.860 -0.583  -0.2592
10 O -4.884 3.632 -1.712  -0.0604
11 C -4.509 3.267 -2.954  -0.7914
12 F -5.108 4.143 -3.774  -0.0021
13 Br -5.086 1.498 -3.566  0.7884
14 C -5.576 1.888 -0.103  -0.3218
15 N -6.338 2.539 0.993  0.0318
16 C -5.117 0.545 0.465  -0.1346
17 C -4.810 -0.534 -0.563  -0.1998
18 O -4.772 -1.842 0.018  -0.0981
19 C -3.577 -2.090 0.692  -0.0903
20 C -2.492 -2.691 -0.239  -0.4108
21 F -2.997 -2.864 -1.457  0.1593
22 F -2.206 -3.924 0.223  0.1137
23 C -1.159 -1.902 -0.260  -0.4091
24 F -1.333 -0.622 -0.028  0.1572
25 F -0.446 -2.356 0.773  0.1613
26 C -0.284 -2.109 -1.513  -0.4207
27 F 0.893 -1.525 -1.264  0.1411
28 F -0.050 -3.382 -1.675  0.1838
29 C -0.811 -1.468 -2.825  -0.2907
30 F -1.184 -2.458 -3.653  0.1009
31 F -1.878 -0.696 -2.632  0.1018
32 H 2.293 0.360 1.552  0.0598
33 H 3.339 2.365 1.048  0.0794
34 H 3.019 2.921 -0.448  0.0722
35 H 0.927 2.107 -1.491  0.1123
36 H 1.064 3.876 0.665  0.1070
37 H 0.452 4.136 -1.005  0.1103
38 H -1.217 4.650 0.705  0.1065
39 H -1.304 2.953 1.153  0.1105
40 H -1.425 3.204 -1.780  0.0980
41 H -2.545 4.363 -1.090  0.1104
42 H -2.915 1.559 -1.547  0.0786
43 H -2.721 1.749 0.164  0.0996
44 H -4.347 3.574 0.233  0.1448
45 H -3.448 3.375 -3.152  0.1070
46 H -6.301 1.745 -0.897  0.1174
47 H -6.593 3.481 0.710  0.0760
48 H -5.683 2.633 1.766  0.0729
49 H -4.309 0.669 1.184  0.1099
50 H -5.952 0.163 1.050  0.1269
51 H -5.581 -0.545 -1.321  0.1073
52 H -3.857 -0.371 -1.068  0.0899
53 H -3.809 -2.858 1.424  0.1446
54 H -3.223 -1.232 1.259  0.1285
55 H -0.024 -0.930 -3.342  0.1696
56 C -1.978 -10.269 -0.369  -0.0928
57 C -1.308 -8.944 -0.709  -0.2773
58 N -1.280 -8.002 0.394  -0.1948
59 C -0.845 -6.670 -0.007  -0.2471
60 C 0.595 -6.510 -0.510  -0.0731
61 C -0.707 -8.500 1.633  -0.2486
62 C 0.746 -8.994 1.608  -0.0852
63 H -3.008 -10.115 -0.044  0.0787
64 H -1.995 -10.906 -1.255  0.0715
65 H -1.443 -10.814 0.409  0.0620
66 H -1.872 -8.491 -1.529  0.1182
67 H -0.302 -9.156 -1.103  0.0985
68 H -1.008 -5.982 0.825  0.1028
69 H -1.522 -6.327 -0.794  0.1077
70 H 1.314 -6.517 0.309  0.0576
71 H 0.703 -5.550 -1.012  0.0509
72 H 0.874 -7.285 -1.226  0.0676
73 H -1.338 -9.317 1.994  0.0978
74 H -0.805 -7.725 2.398  0.1141
75 H 0.968 -9.586 0.719  0.0667
76 H 0.933 -9.630 2.477  0.0696
77 H 1.457 -8.171 1.660  0.0527
78 C 3.867 7.080 0.753  -0.0885
79 C 4.786 6.217 1.606  -0.2779
80 N 5.596 5.288 0.839  -0.2016
81 C 6.302 4.324 1.675  -0.2537
82 C 7.370 4.860 2.636  -0.0846
83 C 6.389 5.868 -0.234  -0.2483
84 C 7.421 6.942 0.134  -0.0820
85 H 3.187 6.464 0.161  0.0701
86 H 3.265 7.721 1.399  0.0743
87 H 4.422 7.732 0.079  0.0653
88 H 4.155 5.638 2.287  0.1152
89 H 5.397 6.880 2.237  0.1001
90 H 6.753 3.561 1.035  0.1123
91 H 5.554 3.788 2.270  0.1014
92 H 8.294 5.110 2.116  0.0555
93 H 7.621 4.090 3.369  0.0722
94 H 7.032 5.737 3.188  0.0664
95 H 5.703 6.294 -0.970  0.0984
96 H 6.893 5.060 -0.770  0.1146
97 H 7.039 7.651 0.869  0.0687
98 H 7.691 7.512 -0.758  0.0723
99 H 8.341 6.507 0.520  0.0542

Properties
LUMO level = 0.3078 eV
Kohn-Sham gap = 8.137 eV
SMILES = [H]/N=C(\N)NCCCC[C@@H](O[C@H](F)Br)[C@H](N)CCOCC(F)(F)C(F)(F)C(F)(F)C(F)F.CCN(CC)CC.CCN(CC)CC
net charge = 0

~~~~~

Density functional theory data (ωB97M-V/def2-TZVPD) for 7 unconnected molecules or ions with the total composition C33H84N4O9S3 in a non-equilibrium geometry.

Properties
HOMO-LUMO gap ... 8.6 eV
LUMO level ... 0.48 eV
E_tot ... -92472.42609 eV
2S+1 ... 1
Energy relative to the best compared isomer or geometry (same formula, charge and spin) ... 0.0 kJ/mol
Strongest force on any atom ... 0.0388 Eh/bohr